Entries:
+++
1.
{
  "formula": "C26H50P2SiZr",
  "method": "wB97M-V/def2-TZVPD",
  "homo_lumo_gap_ha": 0.255,
  "largest_force_ev_per_a": 2.46,
  "lumo_energy_ev": -7.14,
  "energy_ev": -55493.5284,
  "charge": 2,
  "elements": ["Zr", "C", "C", "C", "C", "C", "C", "H", "H", "H", "C", "H", "H", "H", "C", "H", "H", "H", "C", "H", "H", "H", "C", "H", "H", "H", "C", "C", "C", "C", "C", "C", "C", "C", "H", "H", "H", "H", "H", "H", "H", "H", "H", "H", "H", "H", "P", "C", "C", "P", "C", "C", "C", "H", "H", "H", "H", "H", "H", "H", "H", "H", "H", "H", "H", "H", "H", "C", "Si", "C", "C", "H", "H", "H", "H", "H", "H", "H", "H", "H"],
  "xyz": [[-0.1488, 0.3427, -0.3361], [-0.9926, -1.5362, 0.8982], [0.3236, -1.8315, 0.3768], [0.5478, -0.3587, 2.1701], [-0.8386, -0.6510, 2.0213], [1.2627, -1.0383, 1.1318], [-2.2560, -2.2318, 0.5312], [-2.2225, -2.6221, -0.5000], [-3.1165, -1.5590, 0.6248], [-2.4269, -3.0857, 1.2047], [-1.8828, -0.3449, 3.0192], [-2.8401, -0.7711, 2.7244], [-2.0065, 0.7342, 3.1466], [-1.6186, -0.7601, 4.0057], [1.1577, 0.2980, 3.3428], [1.0640, -0.3310, 4.2405], [0.6717, 1.2500, 3.5637], [2.2211, 0.4831, 3.1826], [2.7453, -1.1608, 1.0762], [3.0931, -1.8913, 1.8232], [3.2261, -0.2019, 1.3008], [3.0864, -1.5063, 0.0860], [0.6711, -2.9592, -0.5518], [0.8771, -3.9015, -0.0071], [1.5770, -2.7133, -1.1299], [-0.1611, -3.1591, -1.2436], [-1.6821, 1.4325, -6.0877], [-1.7973, 0.1034, -6.1720], [-1.0646, -0.7452, -7.1818], [0.3972, -0.2823, -7.4566], [1.1397, 0.1420, -6.2363], [1.2704, 1.4326, -5.8281], [0.5612, 2.5906, -6.4622], [-0.8685, 2.2863, -6.9979], [-1.6334, -0.7177, -8.1247], [0.3973, 0.4954, -8.2205], [-1.0392, -1.8001, -6.8713], [-0.8159, 1.8498, -7.9987], [-2.4137, 2.0125, -5.5145], [-2.6649, -0.3923, -5.7034], [-1.3890, 3.2418, -7.1008], [0.4765, 3.4355, -5.7596], [2.0611, 1.7106, -5.1249], [1.1864, 2.9380, -7.2983], [0.9265, -1.1393, -7.8833], [1.7462, -0.6490, -5.7905], [-1.5035, 0.5302, -2.5366], [-3.0272, 1.3979, -2.8999], [-1.4546, -1.1100, -3.3385], [1.5817, 1.1097, -2.1461], [-0.0146, 1.4287, -3.1974], [2.4114, -0.2558, -3.0246], [2.6787, 2.5430, -2.2089], [-3.1526, 2.2213, -2.1848], [-3.8685, 0.7057, -2.7778], [-3.0031, 1.7895, -3.9195], [-1.3721, -1.0149, -4.4281], [-2.3833, -1.6494, -3.0966], [-0.6112, -1.7251, -2.9913], [2.7228, 2.9572, -3.2244], [3.6784, 2.2231, -1.8892], [2.3286, 3.3090, -1.5073], [-0.1817, 2.5128, -3.2586], [0.1418, 1.0410, -4.2100], [3.4159, -0.3777, -2.5928], [2.4878, -0.0669, -4.1014], [1.8765, -1.2040, -2.8704], [-1.0035, 3.1567, 2.7108], [-0.6671, 2.8402, 0.8572], [-2.2369, 3.5716, 0.0477], [0.7052, 4.1250, 0.5109], [-1.8762, 2.6070, 3.0845], [-1.2183, 4.2288, 2.8762], [-0.1431, 2.9157, 3.3470], [-2.0981, 3.6966, -1.0340], [-2.4613, 4.5569, 0.4887], [-3.0932, 2.9073, 0.2296], [0.5013, 5.0632, 1.0556], [1.6771, 3.7384, 0.8493], [0.7625, 4.3582, -0.5608]],
  "mulliken_charge": [-0.528, 0.288, 1.417, 0.815, 0.598, 0.210, -1.884, 0.270, 0.493, 0.358, -1.354, 0.474, -0.023, 0.333, -1.450, 0.351, 0.136, 0.413, -1.922, 0.343, 0.494, 0.295, -1.291, 0.330, 0.302, 0.313, -0.029, -0.711, -0.815, -1.101, 0.123, -0.833, -0.971, -1.242, 0.375, 0.250, 0.375, 0.316, 0.404, 0.909, 0.473, 0.338, 1.051, 0.459, 0.472, 0.418, 1.140, -0.786, -0.610, 1.146, 1.258, -1.273, -1.116, 0.259, 0.473, 0.051, -0.419, 0.597, -0.019, 0.388, 0.468, 0.178, 0.690, -1.854, 0.549, 0.321, 0.168, -1.354, 0.827, -1.267, -1.258, 0.378, 0.463, 0.352, 0.304, 0.460, 0.325, 0.458, 0.343, 0.314]
}

2.
{
  "formula": "C9H22BBr2F3O8PSSi2",
  "method": "wB97M-V/def2-TZVPD",
  "homo_lumo_gap_ha": 0.275,
  "largest_force_ev_per_a": 2.84,
  "lumo_energy_ev": 1.59,
  "energy_ev": -210868.6150,
  "charge": -1,
  "elements": ["C", "O", "C", "C", "C", "Si", "O", "Si", "B", "C", "O", "C", "Br", "C", "C", "Br", "P", "O", "O", "H", "H", "H", "H", "H", "H", "H", "H", "H", "H", "H", "H", "H", "H", "H", "H", "H", "H", "H", "H", "H", "H", "C", "F", "F", "F", "S", "O", "O", "O"],
+++

To do:
Retype every line further above that contains the word "Zr".

Result:
  "elements": ["Zr", "C", "C", "C", "C", "C", "C", "H", "H", "H", "C", "H", "H", "H", "C", "H", "H", "H", "C", "H", "H", "H", "C", "H", "H", "H", "C", "C", "C", "C", "C", "C", "C", "C", "H", "H", "H", "H", "H", "H", "H", "H", "H", "H", "H", "H", "P", "C", "C", "P", "C", "C", "C", "H", "H", "H", "H", "H", "H", "H", "H", "H", "H", "H", "H", "H", "H", "C", "Si", "C", "C", "H", "H", "H", "H", "H", "H", "H", "H", "H"],